Wednesday, May 12, 2010

Not As the World Gives

21-year-old Lt. Charles L. “Charlie” Brown wasn’t sure he was going to make it.

It had started well enough. At 11:32 a.m., on Dec. 20, 1943, Capt. Brown's Ye Olde Pub blended in at 27,300 feet as one of the 63 Allied aircraft creeping in to start its bombing run on a fighter plant in Bremen, Germany.

But the mission had turned into a nightmare and the as the plane turned home it bore witness to how bad it had been. The tail and rear section was severely damaged, the nose was smashed, there were holes everywhere. Brown only had one engine left at full power, every crewman was injured, the tail gunner was dead, and he had three seriously wounded crewmembers on board.

Brown was still partially dazed as he and his co-pilot eased his crippled B-17 into a slow climb, to just above tree top level and turned towards the North Sea and to England – 250 miles away. He knew he couldn’t bail out or crash land with his injured crewmembers – their only chance, and it was slim, was to reach the UK and safety.

So Brown nursed his battered bomber as it limped along when he looked out the cockpit window and saw a German fighter plane – a Messerschmitt 109 – flying right alongside him.

It was over.

Brown kept flying but he knew that there was no way that Ye Olde Pub could outrun or outfight an Bf-109 – even his remaining machine guns were jammed. It was all over but he kept flying.

Oberleutnant Franz Stigler was feeling pretty good about himself and excited as he climbed onto the wing of his Bf 109. His aircraft was rearmed and refueled from his morning combat with American bomber formations. He had already shot down two B-17's earlier. In the Luftwaffe you got the Iron Cross if you shot down three bombers in one day. Now Stigler was eager to take off again and chase the remaining bombers back to the Channel and shoot down another. Suddenly a lone B-17 flew right over the airfield at tree top level! Stigler and the entire ground crew were shocked but quickly jumped into action. Soon Stigler was in the air and chasing his 3d kill.

As Stigler closed in on the smoking B-17, his thoughts turned over on all the lessons he had learned from his many fights with the Flying Fortress. Stigler had already been shot down several times and before the war ended he would be shot down a total of seventeen times. American bombers alone would shoot Stigler down eleven times.

This was not a game. Stigler had shot down B-17s and been shot down and he had seen the damage inflicted on his country by these American bombers. His job was to shoot them down.

But as Stigler got closer, he realized something was wrong. The B-17 wasn’t shooting at him! Not only that but this plane was severely damaged – he was surprised it was flying at all. He could see the dead tail gunner still at his station; through the large holes he could see the crew tending the injured. He took his time and flew all around the aircraft and finally he flew to the left of the aircraft to signal the pilot to land and give up. Stigler thought that was the only chance they had – they couldn’t possibly make it to England.

Brown and his crew couldn’t believe it. What kind of game was this German Bf 109 playing? He was flying all around them and coming within wingtip distance. He must know that there was no way they could defend themselves – why not just end it?! And then this German flew so close that Brown could clearly see him – and the signal that the pilot was making were unmistakable. Brown was being told to land.

Stigler was thinking, “What is wrong with this idiot?!” Minutes earlier, Stigler thought nothing about this plane or its crew – they were the enemy and he was going to shoot them down. But now, something had changed. Stigler was actually concerned about them and about their safety. Their only chance was to land and surrender and they would be POWs but at least they would be alive. But this American pilot would look at him, see him signal, and then jerk his head to the front. Over and over again. Idiot!

Brown just couldn’t bring himself to land while the aircraft could still fly. He didn’t know why it kept flying but as long as it did – he couldn’t land it anywhere but England. Finally the coastline came into view. If he could just hold on – but why didn’t this German shoot?

Suddenly, the Bf-109 pulled ahead. The pilot raised his right hand and saluted and then banked away to the right and was gone. What just happened?

Stigler wished the pilot and his brave crew well. He had shot down Americans before and would again but not this time. He just didn’t have the heart to do it. He had flown along with them for a long time and knew they were just trying desperately to get home. Stigler knew the penalty for letting these Americans go – it could mean his own death. But it didn’t matter – he couldn’t shoot these men. He thought it would be like shooting a man in a parachute – he just couldn’t do it. So he saluted them and wished them luck.

This story touches us by the surprise of it all. We don’t expect Stigler to show mercy. They were at war. Stigler was a fighter pilot whose orders were to shoot down B-17s. Brown was an enemy combatant. He would not surrender as ordered. Stigler was within his rights to shoot them down. By not shooting them down, he was risking his own life.

But he spares them anyway.

This isn’t the way that the world works!

Yet this act of mercy touches us. It speaks to us at a deeper level that is beyond this world’s rules.

This is what the Lord means when he says in John 14:

Peace I leave with you; my peace I give to you.
Not as the world gives do I give it to you.

The world says there are limits to mercy. That there are limits to forgiveness, and to grace, and if you want something from me then you have to give me something. Jesus says that the peace he leaves us is his peace and this gift is not like the kind that the world gives - Jesus gives us peace without condition. We just have to decide whether to accept it.

I know there are many of my Christian brothers and sisters that don’t believe that. They can quote scripture and verse where they think that the rules are clear. That you can only get to Heaven through Christ – otherwise you are condemned. For them, it is a simple formula because accepting any other option is to question that there is an absolute truth. It says so in the Bible so it is so.

I feel bad for them. They can find the words but miss the intent. They want to put God in a box with these rules and you can’t put the Creator inside a box. We believe that the Bible is divinely inspired but you can’t bind the Lord with it – that’s not what it is for.

Let me give you a different perspective from John 13 – just moments before these words were uttered.

So, during supper, fully aware that the Father had put everything into his power and that he had come from God and was returning to God he rose from supper and took off his outer garments. He took a towel and tied it around his waist. Then he poured water into a basin and began to wash the disciples' feet and dry them with the towel around his waist.

Go back and read the entire chapter. Jesus washed all the disciples’ feet.

He washed the feet of those whom he knew would abandon him.

He washed Peter’s feet whom he knew would deny him three times before the night was out.

He washed the feet of Judas whom he knew would betray him.

That doesn’t make sense to us. Who does something like this, an act so full of love, for people that would hurt him and betray him? Our world doesn’t work this way!

And that is the point.

Jesus peace and love is not as the world gives you.

And Jesus commands us to do the same. Also from John 13:

I have given you a model to follow, so that as I have done for you, you should also do.

Forgiving those who have hurt you. Giving mercy to those that don’t deserve it. Loving people when you know that they are going to disappoint you.

It doesn’t make sense in this world but it is what we are supposed to do. If we are followers of Christ then we have to follow his model.

And what about Brown and Stigler?

The text is interrupted by crystal structures >
=====
[1]
Crystalline Na4NbZnSi2PO12 at its relaxed geometry, computed with PBE.

Magnetic moment   0.00 μB/cell
Formation energy from the elements   -2663 meV/atom

Unit cell a=9.1391 b=9.1391 c=22.2243 alpha=89.88 beta=90.12 gamma=119.54
Fractional positions:
Na 0.6454 0.0181 0.2478
Na 0.3785 0.3620 0.2433
Na 0.9755 0.6174 0.2455
Na 0.6380 0.6215 0.7433
Na 0.9819 0.3546 0.7478
Na 0.3826 0.0245 0.7455
Na 0.3121 0.3514 0.5811
Na 0.0452 0.6954 0.5766
Na 0.6422 0.9507 0.5788
Na 0.3046 0.9548 0.0766
Na 0.6486 0.6879 0.0811
Na 0.0493 0.3578 0.0788
Na 0.9787 0.6848 0.9145
Na 0.7118 0.0287 0.9099
Na 0.3089 0.2840 0.9122
Na 0.9713 0.2882 0.4099
Na 0.3152 0.0213 0.4145
Na 0.7160 0.6911 0.4122
Na 0.9952 0.9936 0.4920
Na 0.0064 0.0048 0.9920
Na 0.6619 0.3270 0.8254
Na 0.6730 0.3381 0.3254
Na 0.3286 0.6603 0.1587
Na 0.3397 0.6714 0.6587
Nb 0.9982 0.0006 0.6472
Nb 0.9994 0.0018 0.1472
Nb 0.6649 0.3339 0.9805
Nb 0.6661 0.3351 0.4805
Nb 0.3316 0.6672 0.3139
Nb 0.3328 0.6684 0.8139
Zn 0.9886 0.9925 0.3484
Zn 0.0075 0.0114 0.8484
Zn 0.6552 0.3259 0.6817
Zn 0.6741 0.3448 0.1817
Zn 0.3219 0.6592 0.0150
Zn 0.3408 0.6781 0.5150
Si 0.7041 0.7037 0.2528
Si 0.9993 0.2940 0.2533
Si 0.2963 0.2959 0.7528
Si 0.7060 0.0007 0.7533
Si 0.3707 0.0370 0.5861
Si 0.6660 0.6273 0.5867
Si 0.9630 0.6293 0.0861
Si 0.3727 0.3340 0.0867
Si 0.0374 0.3703 0.9194
Si 0.3326 0.9606 0.9200
Si 0.6297 0.9626 0.4194
Si 0.0394 0.6674 0.4200
P 0.2894 0.9973 0.2526
P 0.0027 0.7106 0.7526
P 0.9561 0.3306 0.5860
P 0.6694 0.0439 0.0860
P 0.6228 0.6640 0.9193
P 0.3360 0.3772 0.4193
O 0.2119 0.0244 0.3088
O 0.8170 0.7826 0.3114
O 0.9794 0.1861 0.3122
O 0.2174 0.1830 0.8114
O 0.9756 0.7881 0.8088
O 0.8139 0.0206 0.8122
O 0.8032 0.9690 0.6932
O 0.1655 0.1960 0.6933
O 0.0298 0.8282 0.6956
O 0.8040 0.8345 0.1933
O 0.0310 0.1968 0.1932
O 0.1718 0.9702 0.1956
O 0.8786 0.3577 0.6421
O 0.4837 0.1159 0.6447
O 0.6460 0.5194 0.6456
O 0.8841 0.5163 0.1447
O 0.6423 0.1214 0.1421
O 0.4806 0.3540 0.1456
O 0.4698 0.3023 0.0265
O 0.8322 0.5294 0.0266
O 0.6965 0.1615 0.0289
O 0.4706 0.1678 0.5266
O 0.6977 0.5302 0.5265
O 0.8385 0.3035 0.5289
O 0.5452 0.6910 0.9755
O 0.1504 0.4492 0.9780
O 0.3127 0.8528 0.9789
O 0.5508 0.8496 0.4780
O 0.3090 0.4548 0.4755
O 0.1472 0.6873 0.4789
O 0.1365 0.6357 0.3599
O 0.4988 0.8627 0.3599
O 0.3632 0.4949 0.3622
O 0.1373 0.5012 0.8599
O 0.3643 0.8635 0.8599
O 0.5051 0.6368 0.8622
O 0.0176 0.8312 0.4130
O 0.8192 0.9956 0.4133
O 0.1909 0.1990 0.4114
O 0.0044 0.1808 0.9133
O 0.1688 0.9824 0.9130
O 0.8010 0.8091 0.9114
O 0.9614 0.1594 0.5878
O 0.1847 0.0334 0.5886
O 0.8445 0.8153 0.5886
O 0.9666 0.8153 0.0886
O 0.8406 0.0386 0.0878
O 0.1847 0.1555 0.0886
O 0.6843 0.1646 0.7463
O 0.4859 0.3290 0.7466
O 0.8576 0.5324 0.7447
O 0.6710 0.5141 0.2466
O 0.8354 0.3157 0.2463
O 0.4676 0.1424 0.2447
O 0.6281 0.4927 0.9212
O 0.8514 0.3667 0.9219
O 0.5111 0.1487 0.9220
O 0.6333 0.1486 0.4219
O 0.5073 0.3719 0.4212
O 0.8513 0.4889 0.4220
O 0.3510 0.4979 0.0797
O 0.1525 0.6623 0.0799
O 0.5242 0.8657 0.0781
=====
So much for the crystal structures >

Brown and his crew miraculously made the flight and landed safely in England. Ye Olde Pub never flew again but Brown did, and so did Stigler.

Both men went on to continue to fly till the end of the war and returned home. Decades later Brown searched for this mystery pilot that spared him and his crew and found Stigler! They met and became friends. Brown and his crew even had a reunion to introduce Stigler to all their families – people that would not exist had Stigler shot them down so many decades before.

Stigler and Brown are both dead now but their story lives on.

If you want to learn more (and there is a lot more that I left out), I encourage you to visit it is the most complete account of their story that I found. It is also a treasure trove of other stories worth reading and remembering.


  1. I know I say this all the time, but this is yet another great post. Thank you for sharing your thoughts and talents with us.
    My favorite part, you cannot put the creator in a box. We just need to keep our focus on following that example.

  2. Thanks Tami! I miss talking with you guys in your backyard and sharing and chatting. I got a lot out of those moments. As I was putting this post together, I had a chance to talk to Sir Hamilton at It is fascinating because he draws these aircraft but also interviews people from this period. He got very close to Brown and Stigler and had hours of interviews with them before they died. He's interviewed WASPs, Tuskegee Airmen, Luftwaffe pilots, even Japanese pilots that were involved with Pearl Harbor and Midway. Check out his site - it's full of great stories.
